What are you watching in in quarantine?

Unrelated to this text: crystal structures >
~~~
# 1
{
  "formula": "Pm3UB2Rh9",
  "functional": "PBE-GGA",
  "state": "relaxed",
  "lattice_angstrom": [[5.9432, 0.0000, 0.0000], [-2.9716, 5.1469, 0.0000], [0.0000, 0.0000, 8.6045]],
  "species": ["Pm", "Pm", "Pm", "U", "B", "B", "Rh", "Rh", "Rh", "Rh", "Rh", "Rh", "Rh", "Rh", "Rh"],
  "fractional_positions": [[0.0000, 0.0000, 0.0000], [0.3333, 0.6667, 0.6569], [0.6667, 0.3333, 0.3431], [0.0000, 0.0000, 0.5000], [0.3333, 0.6667, 0.1425], [0.6667, 0.3333, 0.8575], [0.0000, 0.5000, 0.0000], [0.1651, 0.3302, 0.2846], [0.1651, 0.8349, 0.2846], [0.3302, 0.1651, 0.7154], [0.5000, 0.0000, 0.0000], [0.5000, 0.5000, 0.0000], [0.6698, 0.8349, 0.2846], [0.8349, 0.1651, 0.7154], [0.8349, 0.6698, 0.7154]],
  "space_group": "No. 164",
  "total_magnetization_mub_per_fu": 0.00,
  "e_form_mev_per_atom": -595,
  "dft_energy_ha_per_atom": -0.2792
}

# 2
{
  "formula": "PmZn2BRh2",
  "functional": "PBE-GGA",
  "state": "relaxed",
  "lattice_angstrom": [[4.1430, 0.0000, 0.0000], [0.0000, 4.1430, 0.0000], [0.0000, 0.0000, 5.6654]],
  "species": ["Pm", "Zn", "Zn", "B", "Rh", "Rh"],
  "fractional_positions": [[0.0000, 0.0000, 0.0000], [0.5000, 0.5000, 0.2198], [0.5000, 0.5000, 0.7802], [0.0000, 0.0000, 0.5000], [0.0000, 0.5000, 0.5000], [0.5000, 0.0000, 0.5000]],
  "space_group": "No. 123",
  "total_magnetization_mub_per_fu": 0.00,
  "e_form_mev_per_atom": -564,
  "dft_energy_ha_per_atom": -0.1964
}

# 3
{
  "formula": "Pm2Zn2BRh4",
  "functional": "PBE-GGA",
  "state": "relaxed",
  "lattice_angstrom": [[-3.0623, 3.0623, 3.9676], [3.0623, -3.0623, 3.9676], [3.0623, 3.0623, -3.9676]],
  "species": ["Pm", "Pm", "Zn", "Zn", "B", "Rh", "Rh", "Rh", "Rh"],
  "fractional_positions": [[0.2500, 0.7500, 0.5000], [0.7500, 0.2500, 0.5000], [0.2022, 0.2022, 0.0000], [0.7978, 0.7978, 0.0000], [0.5000, 0.5000, 0.0000], [0.2544, 0.2544, 0.5089], [0.2544, 0.7456, 0.0000], [0.7456, 0.2544, 0.0000], [0.7456, 0.7456, 0.4911]],
  "space_group": "No. 139",
  "total_magnetization_mub_per_fu": 0.00,
  "e_form_mev_per_atom": -587,
  "dft_energy_ha_per_atom": -0.2181
}
~~~

We asked; you answered.

For people worldwide stuck indoors, staying entertained is a top priority. According to The New York Times, social media and streaming services have seen incredibly sharp upticks in website traffic.

Senior Sam Tuit believes that quarantine has changed his viewing habits. “I’m watching more YouTube than I would normally, and fewer movies,” he noted in a Facebook message. “I usually watch movies with friends, and it’s not like we can just get together and watch something these days.”

Currently, Tuit is making his way through YouTube content from the cooking magazine Bon Appétit. “The main series I’ve been getting into is ‘It’s Alive.’ It focuses on cooking with fermentation and microbes — sourdough bread, cured egg yolks, ginger beer, that sort of thing,” he said. He likes the show because of its “laid-back style” and comedic tone, where other chefs working nearby make their way in. “It’s fun to see these professional people getting derailed by their friends and co-workers. It gives me hope that there’s still fun in the world after college.”

Other students are finding new ways to engage with the arts. Junior Amelia Berglund is a member of the Calvin Theater Company. She has been taking advantage of the time to watch theater productions online through independent companies such as Starkid, which posts professional videos of its performances on YouTube. Local theater companies have also been streaming their productions through platforms like Facebook Live.

Like Tuit, Berglund also believes her viewing habits have changed as part of quarantine. “I have more time to keep up with my YouTube subscriptions, and am finally starting a few shows on Netflix that I’ve been meaning to watch,” she said. 

However, she has been intentional about finding ways to connect virtually over the arts with friends. “I think a big thing for me is I’ve actually set up times each week to watch TV or theatre productions with my friends,” she said. “We’ll video chat and press play at the same time, so we can enjoy the show together even remotely.”

In response to a Facebook post from Chimes, students and alumni also reflected the use of streaming platforms by mentioning shows like Hulu’s “12 Monkeys,” and content from Disney+ like “Agent Carter” and “Star Wars: The Clone Wars.”

Faculty also weighed in. Professor Won Lee in the religion department has been watching “Shtisel,” a series about an orthodox Jewish family in Jerusalem, which Lee was attracted to because of his background in Old Testament studies. Professor Matt Lundberg, also of the religion department, has been watching Amazon Prime’s alternate-history series “The Man in the High Castle,” which depicts a world where the Axis powers won World War II. 

Many professors, such as Kristine Johnson and Stacey Wieland in the English and communication departments, respectively, have been engaging in family-friendly fare such as “The Great British Baking Show,” in addition to live concerts by artists like Chris Thile, Yo-Yo Ma, Indigo Girls, Béla Fleck and Jason Mraz.